Species Distribution Modeling and Conservation Planning Workshop

In September of 2013 the CA LCC partnered with UC Davis Information Center for the Environment and Point Blue Conservation Science to offer a workshop on systematic conservation planning (see the CA LCC project description). The aim of the workshop was to present the state of the science for using spatial decision support tools to inform the conservation of plants and animals in the context of climate adaptation planning.

_Inserted here: calculated crystals_
********
Entry from the Materials Project database: a geometry-optimized LiVCrP4O14 structure (PBE with a Hubbard U).

Summary:
energy relative to the elements = -2646 meV per atom
total DFT energy (no corrections) = -153.81 eV/cell
offset from the most stable computed form = 0.000 eV per atom
SG = P1

Lattice parameters (Å, degrees): 4.872 6.986 8.117 90.17 90.57 107.14
Fractional coordinates of all 21 atoms:
Li (0.000, 0.000, 0.000)
V (0.622, 0.601, 0.856)
Cr (0.050, 0.055, 0.365)
P (0.071, 0.424, 0.082)
P (0.233, 0.851, 0.680)
P (0.442, 0.812, 0.184)
P (0.619, 0.237, 0.584)
O (0.003, 0.814, 0.815)
O (0.113, 0.841, 0.507)
O (0.233, 0.938, 0.177)
O (0.252, 0.581, 0.215)
O (0.263, 0.413, 0.934)
O (0.421, 0.709, 0.700)
O (0.428, 0.241, 0.436)
O (0.436, 0.074, 0.719)
O (0.584, 0.813, 0.013)
O (0.663, 0.862, 0.321)
O (0.701, 0.432, 0.687)
O (0.816, 0.495, 0.025)
O (0.889, 0.181, 0.545)
O (0.973, 0.222, 0.168)

---

Entry from the Materials Project database: a geometry-optimized MgMn6O8F4 structure (PBE with a Hubbard U).

Summary:
energy relative to the elements = -2292 meV per atom
total DFT energy (no corrections) = -130.01 eV/cell
offset from the most stable computed form = 0.021 eV per atom
SG = P1

Lattice parameters (Å, degrees): 5.750 5.918 7.876 106.72 98.51 113.31
Fractional coordinates of all 19 atoms:
Mg (0.000, 0.000, 0.000)
Mn (0.009, 0.029, 0.523)
Mn (0.030, 0.499, 0.995)
Mn (0.338, 0.534, 0.359)
Mn (0.367, 0.018, 0.823)
Mn (0.656, 0.038, 0.207)
Mn (0.696, 0.468, 0.637)
O (0.055, 0.708, 0.834)
O (0.131, 0.173, 0.817)
O (0.319, 0.321, 0.511)
O (0.374, 0.707, 0.181)
O (0.672, 0.308, 0.824)
O (0.708, 0.701, 0.503)
O (0.789, 0.184, 0.466)
O (0.975, 0.312, 0.172)
F (0.227, 0.830, 0.530)
F (0.401, 0.182, 0.129)
F (0.598, 0.867, 0.911)
F (0.916, 0.831, 0.180)

---

Entry from the Materials Project database: a geometry-optimized Zn4Ni5Te3O18 structure (PBE with a Hubbard U).

Summary:
energy relative to the elements = -1521 meV per atom
total DFT energy (no corrections) = -305.97 eV/cell
SG = C2/c

Lattice parameters (Å, degrees): 8.649 8.649 10.401 94.11 94.11 61.88
Fractional coordinates of all 60 atoms:
Zn (0.136, 0.824, 0.956)
Zn (0.156, 0.442, 0.076)
Zn (0.176, 0.864, 0.544)
Zn (0.442, 0.156, 0.576)
Zn (0.558, 0.844, 0.424)
Zn (0.824, 0.136, 0.456)
Zn (0.844, 0.558, 0.924)
Zn (0.864, 0.176, 0.044)
Ni (0.025, 0.643, 0.450)
Ni (0.194, 0.508, 0.732)
Ni (0.323, 0.677, 0.250)
Ni (0.357, 0.975, 0.050)
Ni (0.492, 0.806, 0.768)
Ni (0.508, 0.194, 0.232)
Ni (0.643, 0.025, 0.950)
Ni (0.677, 0.323, 0.750)
Ni (0.806, 0.492, 0.268)
Ni (0.975, 0.357, 0.550)
Te (0.159, 0.165, 0.798)
Te (0.165, 0.159, 0.298)
Te (0.500, 0.500, 0.000)
Te (0.500, 0.500, 0.500)
Te (0.835, 0.841, 0.702)
Te (0.841, 0.835, 0.202)
O (0.057, 0.397, 0.381)
O (0.057, 0.753, 0.797)
O (0.067, 0.742, 0.294)
O (0.078, 0.096, 0.446)
O (0.096, 0.078, 0.946)
O (0.097, 0.397, 0.888)
O (0.223, 0.271, 0.660)
O (0.247, 0.943, 0.703)
O (0.258, 0.933, 0.206)
O (0.259, 0.587, 0.562)
********

Presented here are the materials from the workshop, including reading lists, slide presentations, and lab exercises. These materials are free to use with attribution to the authors.
Preliminary Material

Outline of Workshop

Presentation Slides

The piece is interrupted by data records:
'''
Entry from Materials Project: a geometry-optimized V4Ag2O11 structure (GGA+U).

a = 7.981 Å, b = 7.981 Å, c = 9.614 Å
α = 125.96°, β = 125.96°, γ = 26.15°
Atoms (fractional coordinates):
V1 0.134 0.134 0.424
V2 0.354 0.354 0.847
V3 0.646 0.646 0.153
V4 0.866 0.866 0.576
Ag1 0.381 0.381 0.268
Ag2 0.619 0.619 0.732
O1 0.001 0.001 0.319
O2 0.151 0.151 0.220
O3 0.185 0.185 0.646
O4 0.323 0.323 0.983
O5 0.335 0.335 0.590
O6 0.500 0.500 0.000
O7 0.665 0.665 0.410
O8 0.677 0.677 0.017
O9 0.815 0.815 0.354
O10 0.849 0.849 0.780
O11 0.999 0.999 0.681
'''
So much for the data records:

Scenario Planning

Workshop Lab Exercises

Reading Lists and Online Resources

Complete List of Resources Mentioned in Workshop

Contributors to this article
Last Updated: 


Type Title Creatorsort ascending Date
Document Planning for reserve adequacy in dynamic landscapes; maximizing future representation of vegetation communities under flood disturbance in the Pantanal wetland Lourival, Reinaldo, Drechsler, Martin, Watts, Matthew E., Game, Edward T. and Possingham, Hugh P.
Document A practical guide to MaxEnt for modeling species’ distributions: what it does, and why inputs and settings matter Merow, Cory, Smith, Matthew J., and Silander, John A. 2013
Document Identifying habitat conservation priorities and gaps for migratory shorebirds and waterfowl in California Stralberg, Diana, Cameron, D. Richard, Reynolds, Mark D., Hickey, Catherine M., Klausmeyer, Kirk, Busby, Sylvia M., Stenzel, Lynne E., Shuford, W. David, and Page, Gary W. 2011
Document Sensitivity of conservation planning to different approaches to using predicted species distribution data Wilson, K. A., M. I. Westphal, H. P. Possingham, and J. Elith 2005
Document Climate change and the future of California's endemic flora Loarie, Scott R., Carter, Benjamin E., Hayhoe, Katharine, McMahon, Sean, Moe, Richard, Knight, Charles A., Ackerly, David D., 2008
Web Resource Pacific Northwest Climate Change Avian Vulnerability Point Blue
Document Modeling of species distributions with Maxent: new extensions and a comprehensive evaluation Phillips, Steven J. and Dudik, Miroslav 2008
Document A working guide to boosted regression trees Elith, J., Leathwick, J. R., and Hastie, T. 2008
Web Resource Land Processes Distributed Active Archive Center (LP DAAC) U.S. Geological Survey
Document Incorporating climate change adaptation into national conservation assessments Game, Edward T., Lipsett-Moore, Geoffrey, Saxon, Earl, Peterson, Nate, and Sheppard, Stuart 2011
Document The projection of species distribution models and the problem of non-analog climate Fitzpatrick, Matthew C., and Hargrove, William W. 2009
Document Core concepts of spatial prioritisation in systematic conservation planning Mollanen, Atte and Kukkala, Aija S. 2013
Article Web Resources for 2013 SDM Workshop
Document Modelling with stakeholders to integrate biodiversity into land-use planning – Lessons learned in Réunion Island (Western Indian Ocean) Lagabrielle, Erwann, Botta, Aurélie, Daré, Williams, David, Daniel, Aubert, Sigrid, and Fabricius, Christo 2010
Document Identifying conservation areas on the basis of alternative distribution data sets Underwood, Jared G., D'agrosa, Caterina, and Gerber, Leah R. 2010
Document Selecting thresholds for the prediction of species occurrence with presence-only data Liu, Canran, White, Matt, and Newell, Graeme 2013
Web Resource Biodiversity Information Serving Our Nation (BISON) U.S. Geological Survey
Document Systematic conservation planning: an updated protocol Sarkar, Sahotra, and Illoldi-Rangel, Patricia 2010
Document Novel climates, no-analog communities, and ecological surprises Williams, John W. and Jackson, Stephen T. 2007
Document Prioritizing multiple-use landscapes for conservation: methods for large multi-species planning problems Moilanen, Atte, Franco, Aldina M. A., Early, Regan I., Fox, Richard, Wintle, Brendan, and Thomas, Chris D. 2005
